Work order:
Please find the line underneath that holds "0.4627", then write out that line and all lines after it there.
Entries:
~~~
TbSi | r2SCAN | optimized geometry

## Properties
Its total energy is -41.808 eV per formula unit. The value obtained for the formation energy is -0.90 eV per atom. The calculation puts the volume at 43.64 Å³/f.u.

abc: 3.8390 5.7216 7.9467
angles: 90.00 90.00 90.00
With the nearest neighbours (Å) after each atom.
Positions (direct):
Tb 0.2500 0.3852 0.6793  7 Si 2.96-3.16
Tb 0.7500 0.6148 0.3207  7 Si 2.96-3.16
Tb 0.7500 0.8852 0.8207  7 Si 2.96-3.16
Tb 0.2500 0.1148 0.1793  7 Si 2.96-3.16
Si 0.2500 0.8727 0.5373  2 Si 2.48
Si 0.7500 0.1273 0.4627  2 Si 2.48
Si 0.7500 0.3727 0.9627  2 Si 2.48
Si 0.2500 0.6273 0.0373  2 Si 2.48

U2Si3Pt | r2SCAN | optimized geometry

## Properties
Its total energy is -242.020 eV per formula unit. The value obtained for the formation energy is -0.72 eV per atom. The calculation puts the volume at 117.34 Å³/f.u.

abc: 4.0048 4.1525 7.0557
angles: 90.00 90.00 89.94
With the nearest neighbours (Å) after each atom.
Positions (direct):
U 0.0000 0.0000 0.9922  10 Si 3.03-3.13, 2 Pt 3.12
U 0.0000 0.5000 0.5086  8 Si 3.05-3.15, 4 Pt 3.14-3.15
Si 0.5000 0.5000 0.8338  3 Si 2.33-2.38
Si 0.5000 0.5000 0.1641  1 Si 2.33, 2 Pt 2.39
Si 0.5000 0.9999 0.6699  2 Si 2.38, 1 Pt 2.39
Pt 0.5000 0.0000 0.3314  3 Si 2.39

SmRh3 | r2SCAN | optimized geometry

## Properties
Its total energy is -104.456 eV per formula unit. The value obtained for the formation energy is -0.58 eV per atom. The calculation puts the volume at 70.00 Å³/f.u.

abc: 5.2659 5.2659 17.4901
angles: 90.00 90.00 120.00
With the nearest neighbours (Å) after each atom.
Positions (direct):
Sm 0.6667 0.3333 0.0420  12 Rh 3.03-3.33, 3 Sm 3.38
Sm 0.3333 0.6667 0.9580  12 Rh 3.03-3.33, 3 Sm 3.38
Sm 0.3333 0.6667 0.5420  12 Rh 3.03-3.33, 3 Sm 3.38
Sm 0.6667 0.3333 0.4580  12 Rh 3.03-3.33, 3 Sm 3.38
Sm 0.6667 0.3333 0.2500  18 Rh 3.04-3.40
Sm 0.3333 0.6667 0.7500  18 Rh 3.04-3.40
Rh 0.8332 0.6663 0.6274  7 Rh 2.63-2.70
Rh 0.8332 0.1668 0.6274  7 Rh 2.63-2.70
Rh 0.3337 0.1668 0.6274  7 Rh 2.63-2.70
Rh 0.1668 0.3337 0.3726  7 Rh 2.63-2.70
Rh 0.1668 0.8332 0.3726  7 Rh 2.63-2.70
Rh 0.6663 0.8332 0.3726  7 Rh 2.63-2.70
Rh 0.1668 0.3337 0.1274  7 Rh 2.63-2.70
Rh 0.1668 0.8332 0.1274  7 Rh 2.63-2.70
Rh 0.6663 0.8332 0.1274  7 Rh 2.63-2.70
Rh 0.8332 0.6663 0.8726  7 Rh 2.63-2.70
Rh 0.8332 0.1668 0.8726  7 Rh 2.63-2.70
Rh 0.3337 0.1668 0.8726  7 Rh 2.63-2.70
Rh 0.6667 0.3333 0.7500  6 Rh 2.63
Rh 0.3333 0.6667 0.2500  6 Rh 2.63
Rh 0.0000 0.0000 0.7500  6 Rh 2.63
Rh 0.0000 0.0000 0.2500  6 Rh 2.63
Rh 0.0000 0.0000 0.5000  6 Rh 2.70
Rh 0.0000 0.0000 0.0000  6 Rh 2.70

LaVGe3 | r2SCAN | optimized geometry

## Properties
Its total energy is -88.507 eV per formula unit. The value obtained for the formation energy is -0.61 eV per atom. The calculation puts the volume at 96.37 Å³/f.u.

abc: 6.2606 6.2606 5.6779
angles: 90.00 90.00 120.00
With the nearest neighbours (Å) after each atom.
Positions (direct):
La 0.3333 0.6667 0.7500  12 Ge 3.14-3.21
La 0.6667 0.3333 0.2500  12 Ge 3.14-3.21
V 0.0000 0.0000 0.5000  6 Ge 2.54, 2 V 2.84
V 0.0000 0.0000 0.0000  6 Ge 2.54, 2 V 2.84
Ge 0.1943 0.8057 0.2500  2 V 2.54, 2 Ge 2.61
Ge 0.1943 0.3886 0.2500  2 V 2.54, 2 Ge 2.61
Ge 0.6114 0.8057 0.2500  2 V 2.54, 2 Ge 2.61
Ge 0.8057 0.1943 0.7500  2 V 2.54, 2 Ge 2.61
Ge 0.8057 0.6114 0.7500  2 V 2.54, 2 Ge 2.61
Ge 0.3886 0.1943 0.7500  2 V 2.54, 2 Ge 2.61

CsV3O8 | r2SCAN | optimized geometry

## Properties
Its total energy is -145.155 eV per formula unit. The value obtained for the formation energy is -2.50 eV per atom. The calculation puts the volume at 176.80 Å³/f.u.

abc: 8.5390 5.0286 8.2924
angles: 83.24 90.00 90.00
With the nearest neighbours (Å) after each atom.
Positions (direct):
Cs 0.2500 0.0703 0.0561  8 O 3.01-3.35
Cs 0.7500 0.9297 0.9439  8 O 3.01-3.35
V 0.5564 0.4358 0.3282  2 O 1.61-1.75
V 0.0564 0.5642 0.6718  2 O 1.61-1.75
V 0.4436 0.5642 0.6718  2 O 1.61-1.75
V 0.9436 0.4358 0.3282  2 O 1.61-1.75
V 0.2500 0.0795 0.5651  1 O 1.61
V 0.7500 0.9205 0.4349  1 O 1.61
~~~
Here it is:
Si 0.7500 0.1273 0.4627  2 Si 2.48
Si 0.7500 0.3727 0.9627  2 Si 2.48
Si 0.2500 0.6273 0.0373  2 Si 2.48

U2Si3Pt | r2SCAN | optimized geometry

## Properties
Its total energy is -242.020 eV per formula unit. The value obtained for the formation energy is -0.72 eV per atom. The calculation puts the volume at 117.34 Å³/f.u.

abc: 4.0048 4.1525 7.0557
angles: 90.00 90.00 89.94
With the nearest neighbours (Å) after each atom.
Positions (direct):
U 0.0000 0.0000 0.9922  10 Si 3.03-3.13, 2 Pt 3.12
U 0.0000 0.5000 0.5086  8 Si 3.05-3.15, 4 Pt 3.14-3.15
Si 0.5000 0.5000 0.8338  3 Si 2.33-2.38
Si 0.5000 0.5000 0.1641  1 Si 2.33, 2 Pt 2.39
Si 0.5000 0.9999 0.6699  2 Si 2.38, 1 Pt 2.39
Pt 0.5000 0.0000 0.3314  3 Si 2.39

SmRh3 | r2SCAN | optimized geometry

## Properties
Its total energy is -104.456 eV per formula unit. The value obtained for the formation energy is -0.58 eV per atom. The calculation puts the volume at 70.00 Å³/f.u.

abc: 5.2659 5.2659 17.4901
angles: 90.00 90.00 120.00
With the nearest neighbours (Å) after each atom.
Positions (direct):
Sm 0.6667 0.3333 0.0420  12 Rh 3.03-3.33, 3 Sm 3.38
Sm 0.3333 0.6667 0.9580  12 Rh 3.03-3.33, 3 Sm 3.38
Sm 0.3333 0.6667 0.5420  12 Rh 3.03-3.33, 3 Sm 3.38
Sm 0.6667 0.3333 0.4580  12 Rh 3.03-3.33, 3 Sm 3.38
Sm 0.6667 0.3333 0.2500  18 Rh 3.04-3.40
Sm 0.3333 0.6667 0.7500  18 Rh 3.04-3.40
Rh 0.8332 0.6663 0.6274  7 Rh 2.63-2.70
Rh 0.8332 0.1668 0.6274  7 Rh 2.63-2.70
Rh 0.3337 0.1668 0.6274  7 Rh 2.63-2.70
Rh 0.1668 0.3337 0.3726  7 Rh 2.63-2.70
Rh 0.1668 0.8332 0.3726  7 Rh 2.63-2.70
Rh 0.6663 0.8332 0.3726  7 Rh 2.63-2.70
Rh 0.1668 0.3337 0.1274  7 Rh 2.63-2.70
Rh 0.1668 0.8332 0.1274  7 Rh 2.63-2.70
Rh 0.6663 0.8332 0.1274  7 Rh 2.63-2.70
Rh 0.8332 0.6663 0.8726  7 Rh 2.63-2.70
Rh 0.8332 0.1668 0.8726  7 Rh 2.63-2.70
Rh 0.3337 0.1668 0.8726  7 Rh 2.63-2.70
Rh 0.6667 0.3333 0.7500  6 Rh 2.63
Rh 0.3333 0.6667 0.2500  6 Rh 2.63
Rh 0.0000 0.0000 0.7500  6 Rh 2.63
Rh 0.0000 0.0000 0.2500  6 Rh 2.63
Rh 0.0000 0.0000 0.5000  6 Rh 2.70
Rh 0.0000 0.0000 0.0000  6 Rh 2.70

LaVGe3 | r2SCAN | optimized geometry

## Properties
Its total energy is -88.507 eV per formula unit. The value obtained for the formation energy is -0.61 eV per atom. The calculation puts the volume at 96.37 Å³/f.u.

abc: 6.2606 6.2606 5.6779
angles: 90.00 90.00 120.00
With the nearest neighbours (Å) after each atom.
Positions (direct):
La 0.3333 0.6667 0.7500  12 Ge 3.14-3.21
La 0.6667 0.3333 0.2500  12 Ge 3.14-3.21
V 0.0000 0.0000 0.5000  6 Ge 2.54, 2 V 2.84
V 0.0000 0.0000 0.0000  6 Ge 2.54, 2 V 2.84
Ge 0.1943 0.8057 0.2500  2 V 2.54, 2 Ge 2.61
Ge 0.1943 0.3886 0.2500  2 V 2.54, 2 Ge 2.61
Ge 0.6114 0.8057 0.2500  2 V 2.54, 2 Ge 2.61
Ge 0.8057 0.1943 0.7500  2 V 2.54, 2 Ge 2.61
Ge 0.8057 0.6114 0.7500  2 V 2.54, 2 Ge 2.61
Ge 0.3886 0.1943 0.7500  2 V 2.54, 2 Ge 2.61

CsV3O8 | r2SCAN | optimized geometry

## Properties
Its total energy is -145.155 eV per formula unit. The value obtained for the formation energy is -2.50 eV per atom. The calculation puts the volume at 176.80 Å³/f.u.

abc: 8.5390 5.0286 8.2924
angles: 83.24 90.00 90.00
With the nearest neighbours (Å) after each atom.
Positions (direct):
Cs 0.2500 0.0703 0.0561  8 O 3.01-3.35
Cs 0.7500 0.9297 0.9439  8 O 3.01-3.35
V 0.5564 0.4358 0.3282  2 O 1.61-1.75
V 0.0564 0.5642 0.6718  2 O 1.61-1.75
V 0.4436 0.5642 0.6718  2 O 1.61-1.75
V 0.9436 0.4358 0.3282  2 O 1.61-1.75
V 0.2500 0.0795 0.5651  1 O 1.61
V 0.7500 0.9205 0.4349  1 O 1.61